Excerpt:
- - -
(1)
64
Properties=species:S:1:pos:R:3:forces:R:3:mulliken_charge:R:1 method="wB97M-V/def2-TZVPD" total_charge=+1 de_lowest_kj_mol=0.00 total_energy_ha=-1096.8738 e_lumo_ev=-3.1 e_homo_ev=-10.8 gap_ev=7.7
C 1.0483 -2.3635 0.5442 -0.16 0.06 -1.15 0.660
C 1.9499 -1.5727 -0.2564 -0.90 -0.68 -0.29 0.259
C 1.3877 -1.4567 -1.5686 -0.33 -0.08 0.78 1.109
C 0.0953 -2.0735 -1.5626 0.85 -0.40 0.88 0.623
C -0.1077 -2.6636 -0.2662 1.08 0.09 -0.22 0.511
Zr -0.0387 -0.2520 0.2336 -0.45 0.42 -1.28 0.469
C -2.5400 0.9347 -0.2774 0.10 0.16 1.55 1.145
C -2.2012 0.5506 1.0260 -1.82 -0.12 -1.09 -0.827
H -2.2113 1.3063 1.8242 0.65 0.01 -0.57 0.710
C -1.9823 -0.8431 1.3666 0.17 0.11 0.17 -1.020
H -2.6430 -1.5701 0.8877 0.33 0.13 0.09 0.524
H -1.8491 -1.0753 2.4288 -0.17 0.14 -0.30 0.429
C -2.6347 2.3807 -0.6534 -0.09 0.46 -0.02 -1.337
H -2.0286 3.0161 0.0054 -0.17 -0.16 -0.11 0.258
H -2.2721 2.5393 -1.6782 -0.08 -0.05 0.25 0.267
H -3.6754 2.7446 -0.6131 0.25 -0.22 -0.02 0.423
C -3.1364 -0.0255 -1.2710 0.44 -0.58 -0.53 -0.942
H -2.9911 -1.0876 -1.0238 -0.02 0.37 0.00 0.009
H -4.2276 0.1219 -1.3682 0.41 0.19 0.21 0.503
H -2.7131 0.1262 -2.2755 -0.16 0.06 0.22 0.154
C 3.2514 -0.9993 0.1850 0.40 0.18 0.11 -1.754
H 3.2197 -0.7209 1.2475 0.11 -0.08 -0.21 0.227
H 4.0720 -1.7183 0.0506 -0.16 0.16 0.06 0.366
H 3.5024 -0.1012 -0.3948 -0.02 -0.19 0.14 0.368
C 2.1101 -0.9175 -2.7530 0.16 0.38 -0.26 -1.517
H 2.6113 0.0267 -2.5062 -0.09 -0.17 -0.15 0.299
H 2.8808 -1.6207 -3.1057 -0.25 0.08 0.20 0.378
H 1.4295 -0.7230 -3.5864 0.15 -0.02 0.15 0.401
C -0.7379 -2.3646 -2.7654 -0.37 0.16 -0.30 -1.724
H -0.7533 -1.5190 -3.4636 -0.02 -0.24 0.09 0.389
H -0.3440 -3.2361 -3.3132 -0.07 0.25 0.21 0.345
H -1.7745 -2.5924 -2.4878 0.23 0.04 -0.12 0.329
C -1.1587 -3.6705 0.0574 -0.26 -0.09 0.16 -1.662
H -2.1049 -3.4394 -0.4444 0.13 -0.08 0.13 0.416
H -0.8458 -4.6702 -0.2793 -0.04 0.25 0.07 0.333
H -1.3469 -3.7209 1.1349 -0.03 -0.03 -0.21 0.360
C 1.3361 -2.9228 1.8934 0.04 -0.07 0.50 -1.481
H 0.4091 -3.1718 2.4283 0.26 0.05 -0.08 0.379
H 1.9280 -3.8485 1.8140 -0.16 0.28 0.01 0.316
H 1.9119 -2.2134 2.5051 -0.09 -0.32 -0.12 0.297
C 0.3397 1.4501 -1.3966 -0.60 -0.91 0.76 2.064
C 1.0211 2.5906 -0.9576 0.09 0.15 -0.51 -0.714
C -0.0651 1.3981 -2.7362 0.26 0.51 -0.39 -0.693
C 1.3174 3.6435 -1.8423 0.07 -0.13 0.14 -0.571
H 1.3403 2.6639 0.0860 0.00 0.19 -0.48 0.029
C 0.2912 2.4081 -3.6431 -0.16 -0.21 0.20 -0.692
H -0.6630 0.5580 -3.1060 0.30 0.24 0.09 0.253
C 0.9827 3.5376 -3.1944 -0.04 -0.06 0.21 -0.782
H 1.8211 4.5383 -1.4629 -0.12 -0.32 -0.22 0.407
H 0.0227 2.3070 -4.6999 0.06 0.11 0.39 0.431
H 1.2488 4.3344 -3.8919 -0.10 -0.25 0.24 0.362
C 0.5462 2.1920 3.8656 0.38 0.17 0.12 -0.810
C -0.2071 0.9476 4.2979 -0.11 -0.32 -0.28 -0.445
C 0.4824 -0.1543 3.5151 0.08 0.55 -0.56 -0.476
O 0.6550 0.4982 2.1342 0.18 0.52 1.64 -0.455
C 0.7835 2.0022 2.3748 -0.26 -0.65 0.15 -0.493
H 0.0071 3.1165 4.0868 0.05 -0.13 -0.15 0.387
H 1.5177 2.2484 4.3627 -0.13 -0.03 0.13 0.310
H -1.2499 0.9992 3.9710 0.03 0.00 0.12 0.169
H -0.1942 0.7811 5.3746 0.10 -0.05 -0.06 0.462
H 1.4959 -0.3699 3.8748 -0.28 0.02 -0.09 0.351
H -0.1119 -1.0705 3.4088 0.40 0.40 -0.21 0.177
H -0.0010 2.4917 1.7875 0.31 -0.21 -0.11 0.272
H 1.7940 2.2952 2.0730 -0.36 -0.12 -0.10 0.464

***

(2)
73
Properties=species:S:1:pos:R:3:forces:R:3:mulliken_charge:R:1 method="wB97M-V/def2-TZVPD" total_charge=+2 de_lowest_kj_mol=106.71 total_energy_ha=-4938.0361 e_lumo_ev="-5.0 / -5.0" e_homo_ev="-12.2 / -12.2" spin_multiplicity=4 gap_ev="7.1 / 7.2"
Nd 0.2128 0.6827 0.0642 -0.03 -2.90 0.19 0.181
C 4.4430 -0.8884 1.6228 1.01 1.10 -0.21 -0.919
C 4.5155 -2.2095 1.1704 -0.05 0.26 0.34 -0.610
C 3.3364 -2.8772 0.8950 0.88 -1.47 -0.36 -0.669
C 2.1770 -2.1585 0.7988 -0.64 1.25 1.34 0.659
N 2.1074 -0.8506 1.1681 0.83 1.25 -0.17 0.310
C 3.2198 -0.2109 1.6331 0.14 -3.35 -1.24 -1.110
C 0.8950 -2.7660 0.5218 -2.76 -1.51 0.81 0.628
C 0.5850 -4.1068 0.9396 3.36 0.20 -0.20 -0.499
C -0.6360 -4.6735 0.7926 -1.50 0.24 -1.17 -1.000
- - -

Brief:
Find "-0.2071 0.9476" and "1.4959 -0.3699" in the entries above, and copy these two lines and those between.

Solution:
C -0.2071 0.9476 4.2979 -0.11 -0.32 -0.28 -0.445
C 0.4824 -0.1543 3.5151 0.08 0.55 -0.56 -0.476
O 0.6550 0.4982 2.1342 0.18 0.52 1.64 -0.455
C 0.7835 2.0022 2.3748 -0.26 -0.65 0.15 -0.493
H 0.0071 3.1165 4.0868 0.05 -0.13 -0.15 0.387
H 1.5177 2.2484 4.3627 -0.13 -0.03 0.13 0.310
H -1.2499 0.9992 3.9710 0.03 0.00 0.12 0.169
H -0.1942 0.7811 5.3746 0.10 -0.05 -0.06 0.462
H 1.4959 -0.3699 3.8748 -0.28 0.02 -0.09 0.351